public function ajax_checkduplicate() { try { $posted = array(); ///is the primary key,used for checking duplicate in edit mode $posted["id"] = decrypt($this->input->post("h_id")); /*don't change*/ $posted["duplicate_value"] = get_formatted_string($this->input->post("h_duplicate_value")); if ($posted["duplicate_value"] != "") { $qry = " Where " . (intval($posted["id"]) > 0 ? "!=" . intval($posted["id"]) . " And " : "") . " ut.s_user_type='" . $posted["duplicate_value"] . "'"; $info = $this->obj_mod->fetch_multi($qry, $start, $limit); /*don't change*/ if (!empty($info)) { echo "Duplicate exists"; } else { echo "valid"; /*don't change*/ } unset($qry, $info); } } catch (Exception $err_obj) { show_error($err_obj->getMessage()); } }
+++
ORCA calculation (the ωB97M-V functional and the def2-TZVPD basis) on a cluster of 2 separate species, C6H7BO3S in total at a distorted geometry.

Last column: Mulliken charge in e.
Element x y z (Å)
O -2.9451 -1.5209 -0.0842  -0.322
C -1.9638 -2.0773 -0.3370  0.561
C -0.7177 -2.6609 -0.4216  -0.753
C 0.4967 -1.8659 -0.4253  0.122
C 0.4629 -0.5672 -0.2412  -0.084
B 1.8237 0.1909 -0.0872  0.522
O 2.9529 -0.4253 -0.5421  -0.473
O 1.8738 1.4469 0.4962  -0.452
H -0.8370 -3.7768 -0.3592  0.255
H 1.3906 -2.3349 -0.6894  0.477
H -0.5352 -0.0665 0.0431  -0.278
H 3.6967 0.0247 -0.2467  0.230
H 2.7271 1.6972 0.6614  0.208
C -2.6445 1.6564 0.7014  -0.127
C -1.7976 2.3973 0.2214  -0.110
S -0.6844 3.5819 -0.1270  -0.247
H -3.5888 1.1512 0.7597  0.384
H 0.2899 3.1493 0.6777  0.088

Atomic forces in eV per Å
0.059 -0.419 -0.598
2.544 -0.338 0.791
-3.257 -1.017 0.152
-1.968 -0.579 -0.457
-0.507 2.827 1.262
-1.404 0.036 -0.335
-1.620 -1.204 -0.521
-3.184 -1.418 -0.532
0.611 1.224 -0.279
1.327 -0.891 -0.136
1.688 -0.668 -0.532
2.450 1.047 0.538
3.354 1.354 0.685
0.370 1.211 -1.645
-1.570 -1.494 1.743
0.539 0.790 -0.575
0.453 -0.259 0.393
0.116 -0.203 0.045

Values from the calculation:
- LUMO energy: 0.20 eV
- Frontier orbital gap: 8.47 eV
- Energy above the lowest of the compared OMol25 structures with the same formula, charge and spin: 65.14 kcal per mole
- SMILES string: O=C=C/C=C/B(O)O.C#CS
- Energy: -23988.12328 eV
- Multiplicity: 1
- Total charge: 0

----------

Molecular formula: C26H26N2O3
Method: DFT, ωB97M-V/def2-TZVPD

## Properties
- Multiplicity: 1
- Total energy: -1341.606120 a.u.
- Structure (SMILES): CCOc1ccccc1N1CCN(C(=O)C2c3ccccc3Oc3ccccc32)CC1
- ΔE to the lowest compared entry with this formula, charge and spin: 30.3 kcal/mol
- Frontier orbital gap: 8.498 eV

Each line ends with the Löwdin charge.
Atoms and positions in Å:
C1 -1.03712 4.23074 1.85622  -0.06
C2 0.04608 4.78731 0.94425  -0.26
H1 -0.37708 5.54881 0.27399  0.13
H2 0.84226 5.24965 1.54438  0.13
O1 0.56293 3.70849 0.19439  -0.08
C3 1.54740 3.94149 -0.72893  -0.19
C4 2.12086 5.18800 -0.93988  -0.03
C5 3.15550 5.35441 -1.84584  -0.09
C6 3.62695 4.27066 -2.55999  -0.10
C7 3.04509 3.03065 -2.37754  -0.02
C8 2.00316 2.83462 -1.47532  -0.16
N1 1.45482 1.54899 -1.39035  -0.10
C9 2.30679 0.47260 -0.92589  -0.13
H3 3.33493 0.65928 -1.23456  0.12
C10 1.81384 -0.85206 -1.51054  -0.11
N2 0.42635 -1.05775 -1.13370  -0.04
C11 0.14905 -1.99908 -0.20158  -0.40
O2 1.00407 -2.76085 0.20769  0.09
C12 -1.30232 -2.14608 0.29640  -0.11
C13 -1.24567 -2.25261 1.79653  -0.11
C14 -1.07172 -1.12148 2.58015  -0.02
C15 -0.94169 -1.21971 3.95304  -0.09
C16 -0.97842 -2.46559 4.55805  -0.08
C17 -1.16189 -3.60108 3.79492  0.01
C18 -1.29659 -3.49920 2.41332  -0.18
O3 -1.50698 -4.66055 1.73159  0.08
C19 -1.85169 -4.59400 0.41539  -0.18
C20 -2.26533 -5.78208 -0.18059  0.01
C21 -2.65947 -5.79388 -1.50341  -0.08
C22 -2.65614 -4.62017 -2.23945  -0.09
C23 -2.24012 -3.44169 -1.64809  -0.02
+++
public function edit_info($info, $i_id) { try { $i_ret_ = 0; ////Returns false if (!empty($info)) { $s_qry = "UPDATE " . $this->tbl . " SET "; $s_qry .= " s_user_name=? "; $s_qry .= " ,s_avatar=? "; $s_qry .= " ,s_email=? "; $s_qry .= " ,s_contact_number=? "; $s_qry .= " ,s_chat_im=? "; if (isset($info["s_password"]) && !empty($info["s_password"])) { $s_password = md5(trim($info["s_password"]) . $this->conf["security_salt"]); $s_qry .= ", s_password= '******' "; } $s_qry .= " WHERE i_id=? "; $i_ret_ = $this->db->query($s_qry, array(get_formatted_string($info["s_user_name"]), get_formatted_string($info["s_avatar"]), get_formatted_string($info["s_email"]), get_formatted_string($info["s_contact_number"]), get_formatted_string($info["s_chat_im"]), intval($i_id))); //$i_ret_=$this->db->affected_rows(); if ($i_ret_) { $logi["msg"] = "Updating " . $this->tbl . " "; $logi["sql"] = serialize(array($s_qry, array(get_formatted_string($info["s_user_name"]), get_formatted_string($info["s_avatar"]), get_formatted_string($info["s_email"]), get_formatted_string($info["s_contact_number"]), get_formatted_string($info["s_chat_im"]), intval($i_id)))); $this->log_info($logi); unset($logi, $logindata); } } unset($s_qry, $info, $i_id); return $i_ret_; } catch (Exception $err_obj) { show_error($err_obj->getMessage()); } }
[Quantum chemistry results, kept here for reference]
/*
# 1
{
  "formula": "C25H27N3O5S",
  "method": "ωB97M-V/def2-TZVPD",
  "symbols": ["C", "H", "H", "O", "C", "C", "C", "C", "C", "C", "N", "S", "O", "O", "C", "C", "C", "C", "C", "C", "H", "H", "C", "O", "N", "C", "C", "C", "C", "C", "C", "H", "H", "N", "C", "H", "C", "O", "C", "C", "H", "H", "H", "H", "H", "H", "H", "H", "H", "H", "H", "H", "C", "H", "H", "H", "H", "H", "H", "H", "H"],
  "xyz": [[5.838, 4.451, -5.174], [6.062, 5.523, -5.145], [5.942, 4.088, -6.195], [4.500, 4.193, -4.817], [4.124, 4.393, -3.529], [4.860, 5.099, -2.585], [4.375, 5.263, -1.298], [3.154, 4.730, -0.931], [2.416, 4.015, -1.861], [2.887, 3.844, -3.150], [2.158, 3.020, -4.042], [2.799, 1.471, -4.105], [2.288, 0.818, -5.275], [4.213, 1.455, -3.863], [1.987, 0.798, -2.656], [2.643, 0.803, -1.439], [1.977, 0.355, -0.313], [0.669, -0.115, -0.410], [0.021, -0.104, -1.643], [0.681, 0.361, -2.766], [0.206, 0.386, -3.734], [-1.009, -0.423, -1.725], [0.000, -0.572, 0.851], [0.213, -0.029, 1.917], [-0.827, -1.636, 0.666], [-1.588, -2.334, 1.613], [-1.668, -1.967, 2.951], [-2.446, -2.693, 3.830], [-3.173, -3.815, 3.416], [-3.071, -4.178, 2.067], [-2.301, -3.452, 1.186], [-2.242, -3.763, 0.152], [-3.582, -5.057, 1.703], [-3.905, -4.609, 4.288], [-5.219, -5.087, 3.905], [-5.289, -5.218, 2.827], [-6.295, -4.091, 4.366], [-6.237, -3.877, 5.758], [-4.967, -3.397, 6.147], [-3.869, -4.378, 5.717], [-2.884, -4.029, 6.022], [-4.059, -5.343, 6.203], [-5.001, -3.295, 7.233], [-4.788, -2.410, 5.692], [-7.295, -4.475, 4.160], [-6.153, -3.137, 3.833], [-5.388, -6.053, 4.393], [-2.486, -2.360, 4.855], [-1.122, -1.107, 3.300], [-0.860, -2.030, -0.264], [2.454, 0.361, 0.656], [3.661, 1.155, -1.398], [1.618, 3.599, -5.252], [1.307, 2.770, -5.883], [0.754, 4.216, -4.996], [2.354, 4.201, -5.788], [1.469, 3.573, -1.593], [2.779, 4.858, 0.073], [4.965, 5.812, -0.579], [5.820, 5.517, -2.843], [6.530, 3.908, -4.526]],
*/
public function edit_info($info, $i_id) { try { $i_ret_ = 0; ////Returns false if (!empty($info)) { $s_qry = "Update " . $this->tbl . " Set "; $s_qry .= " s_admin_email=? "; /*$s_qry.=", s_smtp_host=? "; $s_qry.=", s_smtp_password=? "; $s_qry.=", s_smtp_userid=? ";*/ $s_qry .= ", i_records_per_page=? "; $s_qry .= ", i_project_posting_approval=? "; $s_qry .= ", i_banner_speed=? "; $s_qry .= ", i_featured_slider_speed=? "; $s_qry .= ", i_auto_slide_control=? "; $s_qry .= ", i_featured_project_auto_slide_control=? "; $s_qry .= ", s_facebook_url=? "; $s_qry .= ", s_g_plus_url=? "; $s_qry .= ", s_linked_in_url=? "; $s_qry .= ", s_twitter_url=? "; $s_qry .= ", s_rss_feed_url=? "; $s_qry .= " Where i_id=? "; $i_ret_ = $this->db->query($s_qry, array(get_formatted_string($info["s_admin_email"]), intval($info["i_records_per_page"]), intval($info["i_project_posting_approval"]), intval($info["i_banner_speed"]), intval($info["i_featured_slider_speed"]), intval($info["i_auto_slide_control"]), intval($info["i_featured_project_auto_slide_control"]), get_formatted_string($info["s_facebook_url"]), get_formatted_string($info["s_g_plus_url"]), get_formatted_string($info["s_linked_in_url"]), get_formatted_string($info["s_twitter_url"]), get_formatted_string($info["s_rss_feed_url"]), intval($i_id))); //$i_ret_=$this->db->affected_rows(); if ($i_ret_) { $logi["msg"] = "Updating " . $this->tbl . " "; $logi["sql"] = serialize(array($s_qry, array(get_formatted_string($info["s_admin_email"]), intval($info["i_records_per_page"]), intval($info["i_project_posting_approval"]), intval($info["i_banner_speed"]), intval($info["i_featured_slider_speed"]), intval($info["i_auto_slide_control"]), intval($info["i_featured_project_auto_slide_control"]), get_formatted_string($info["s_facebook_url"]), get_formatted_string($info["s_g_plus_url"]), get_formatted_string($info["s_linked_in_url"]), get_formatted_string($info["s_twitter_url"]), get_formatted_string($info["s_rss_feed_url"]), intval($i_id)))); $this->log_info($logi); unset($logi, $logindata); } } unset($s_qry, $info, $i_id); return $i_ret_; } catch (Exception $err_obj) { show_error($err_obj->getMessage()); } }
Between two parts of the piece: quantum chemistry results
/*
Entry 1:
Below is the molecule C14H15Cl2N3, with properties calculated with ωB97M-V/def2-TZVPD.

Output
Relative energy (zero: lowest compared OMol25 entry of this formula, charge and spin) = 39.11 kcal/mol
SMILES = CC1=NN=C(N(C)C)C/C1=C\c1c(Cl)cccc1Cl
Total charge = 0
Multiplicity = 1
Frontier orbital gap = 8.245 eV

Each line ends with the Mulliken charge.
Positions of all 34 atoms, in Å:
C -3.3787 -0.5881 -1.9978  -1.32
C -2.0892 -1.0313 -1.3278  0.63
N -1.4596 -2.0799 -1.7317  -0.60
N -0.2191 -2.5489 -1.3767  -0.63
C 0.5123 -1.9572 -0.4885  0.51
N 1.7914 -2.4632 -0.1786  0.00
C 2.4272 -3.2807 -1.3014  -0.96
C 2.6429 -2.1050 1.0237  -0.81
C -0.0589 -0.7371 0.3175  -0.64
C -1.3110 -0.2224 -0.4122  1.06
C -1.6858 1.0777 -0.2174  -1.72
C -0.9470 2.0617 0.5552  0.17
C -1.3002 2.4905 1.8415  0.15
Cl -2.9422 2.1063 2.4922  -0.19
C -0.3654 3.2831 2.5041  -0.24
C 0.8531 3.7817 1.9018  -0.71
C 1.0795 3.4530 0.5450  -0.37
C 0.1618 2.6168 -0.1337  0.44
Cl 0.3786 2.3142 -1.7751  -0.17
H -3.2556 0.1977 -2.7644  0.26
H -4.1937 -0.3571 -1.3193  0.41
H -3.8008 -1.4985 -2.5086  0.38
H 3.5241 -3.1145 -1.2785  0.32
H 2.3978 -4.3207 -0.9434  0.31
H 1.9587 -2.9850 -2.2312  0.37
H 2.7737 -0.9527 1.0548  0.25
H 2.2988 -2.5157 1.9373  0.27
H 3.5437 -2.5114 0.7413  0.37
H 0.6577 -0.0210 0.5293  0.49
H -0.3959 -1.0973 1.2861  0.30
H -2.5247 1.4745 -0.7259  0.59
H -0.5625 3.5011 3.5161  0.45
H 1.5368 4.4402 2.5658  0.27
H 1.9522 3.5893 -0.0997  0.35

=====

Entry 2:
Below is the molecule C14H15ClN2S, with properties calculated with ωB97M-V/def2-TZVPD.

Output
Relative energy (zero: lowest compared OMol25 entry of this formula, charge and spin) = 0.00 kcal/mol
SMILES = Nc1nc(C2(c3ccc(Cl)cc3)CCCC2)cs1
Total charge = 0
Multiplicity = 1
Frontier orbital gap = 8.595 eV

Each line ends with the Mulliken charge.
Positions of all 33 atoms, in Å:
N 3.9294 -2.3125 -0.3499  -0.49
C 2.8886 -1.5224 -0.7396  0.43
N 1.8340 -1.4211 0.0247  -0.50
C 0.8779 -0.5555 -0.5173  -0.95
C -0.4661 -0.2548 0.0787  2.87
C -0.5302 1.2593 0.2889  -0.66
C -1.3181 2.0823 -0.5181  -0.23
C -1.3149 3.4693 -0.3389  -0.75
C -0.5083 4.1027 0.6662  0.23
Cl -0.4384 5.8550 0.8604  -0.22
C 0.3116 3.2919 1.4445  -0.84
C 0.2949 1.8788 1.2471  -0.15
C -0.7717 -1.0189 1.3803  -1.13
C -1.2646 -2.4144 0.9647  -0.65
C -1.6845 -2.3208 -0.5029  -0.82
C -1.4833 -0.8422 -0.8849  -1.08
C 1.2636 -0.0637 -1.7218  -0.43
S 2.7765 -0.7474 -2.2831  -0.25
H 4.4649 -2.8072 -1.1394  0.26
H 3.7056 -2.9005 0.4632  0.27
H -1.9497 1.6960 -1.3018  0.39
H -1.8774 4.0714 -1.0616  0.35
H 0.9841 3.7423 2.1699  0.39
H 0.9551 1.2350 1.8355  0.35
H 0.1533 -1.0889 1.9690  0.45
H -1.6042 -0.5623 1.9318  0.41
H -0.4542 -3.1456 1.1150  0.21
H -2.0855 -2.6515 1.6492  0.42
H -1.0601 -2.9933 -1.0801  0.29
H -2.7186 -2.6613 -0.6750  0.44
H -1.1850 -0.7258 -1.9490  0.40
H -2.4463 -0.3327 -0.7203  0.45
H 0.7216 0.6590 -2.3055  0.53

=====

Entry 3:
Below is a structure of composition C14H15CoNO7S3, with properties calculated with ωB97M-V/def2-TZVPD.
*/
public function username_exists($email, $i_user_id = '') { try { $ret_ = 0; if ($i_user_id == '') { $s_qry = "SELECT COUNT(*) i_count FROM " . $this->tbl . " WHERE "; $s_qry .= " BINARY `s_email`=? "; $this->db->trans_begin(); ///new $rs = $this->db->query($s_qry, array(get_formatted_string($email))); $this->db->trans_commit(); ///new } else { $s_qry = "SELECT COUNT(*) i_count FROM " . $this->tbl . " WHERE "; $s_qry .= " binary `s_email`=? "; $s_qry .= " AND id!=? "; $this->db->trans_begin(); ///new $rs = $this->db->query($s_qry, array(get_formatted_string($email), intval($i_user_id))); $this->db->trans_commit(); ///new } if (is_array($rs->result())) { foreach ($rs->result() as $row) { $ret_ = intval($row->i_count); } $rs->free_result(); } if ($ret_ == 0) { return false; } else { return true; } } catch (Exception $err_obj) { show_error($err_obj->getMessage()); } }